
60.1 Introduction

Psychologists believe that interest is a favorable disposition towards acquiring knowledge. When the individual is learning in joy triggered by interest, this primary form of value concept, will generate a positive emotional experience, which plays significant role in promoting the individual’s cognitive activities and gradually develops into an internal motivation of individual activity (Salas et al. 2009; Yang et al. 2006; Trimmel and Bachmann 2004). Physiologically, excitement aroused by interest can lead to excitement, which will increase amounts of glucagon in the blood and promote secretion of the thyroid. In this way, as a material basis for the improvement of the learning efficiency, the metabolism is accelerated, the mental power boosted and the learning stamina increased. Psychologically, it is generally thought that the generation of interest stems from cognitive surprise and emotional attraction. A surprise occurs when a concept similar to and associated with the past experience rises; but it cannot thoroughly assimilate the established cognitive structure; otherwise would trigger off conflict between curiosity and concept (Eisenberg et al. 2010).

From past to present, many world famous educators have noted the role of interest in teaching activities. Johann Amos Comenius, a Czech educationalist, pointed out in his Didactica magna that, “A good learning method should be motivating children to seek knowledge enjoyably and could encourage them to study with all possible ways. On the contrary, a way based on forcing children to learn would be greatly harmful to them” (Blair 2000). In light of the above, it is very important for senior college students to build up interest in learning specialized fundamental courses because interest is always contributing to an outstanding academic performance and a strengthening competence in engineering practice (Vaidyanathan 2011).

First, learning interest can improve the cognitive quality of specialized and professional knowledge. As interest is one of the important aspects of motive, learning is explicitly orientated. Second, this important source of motivation can generate awareness by internal driving force and its specific manifestation is the following: the broadened scope of attention, the increased persistence of attention, and the improved memory as well. As a matter of fact, learning interest in specialized course can bring about a positive emotional experience and to great extent, reduce fatigue. Third, once senior college students develop a passion for specialized knowledge whereby to form the positive knowledge-seeking desire, the desire will spark and ignite their learning interest in specialized courses. Inevitably, the delightful effect will make the students be in relaxed state and make them immerse in such contentment experience. Referring to the relevant literature in References (Shin t al. 2011; Peng et al. 2010; Shu and Chung 2009), by using Rough Set Theory and with the aid of MyRS tool, the importance degree indexes of various factors influencing college students’ academic performance have been compared. As a result, it comes to a conclusion that the learning interest of the senior college students is the most active factor that influences their academic performance in specialized course learning.

60.2 The Rough Set Theory

The Rough Set Theory (RST) was proposed by Professor Pawlak in 1982. Owing to its multiple advantages, RST has been widely used in such fields like artificial intelligence, machine learning, knowledge acquisition, decision analysis, pattern recognition and so on. RST can be applied in handle the imprecise interclass boundaries problems of “rough classification”. The method philosophy is based on the assumption that an object must be affiliated with some information. And because of the very information, objects characterized by the same information are indiscernible. Correspondingly, the indiscernibility relation built in such way supplies a mathematic basis for the rough set theory. When a decision is made by using rough set theory, above all, the valuable information can be gathered from the given data set; and after data compression, reduction and analysis of attribute importance, a reasonable decision scheme is generated (Pawlak 1991).

Definition 1 (Cheng et al. 2011; Meng and Shi 2009)

Assume that U is the universe of discourse, a nonempty finite set, and \( R \subseteq U \times U \) is a binary equivalent relation on U, then \( A = (U,R) \) is named approximation space, in which [x] is R equivalence class for the object. For any \( X \subseteq U, \) X is represented by \( \underline{R} X \) and \( \overline{R} X \). \( \underline{R} X \) and \( \overline{R} X \) are:

$$ \begin{aligned} \underline{R} X = & \{ x \in U|[x] \subseteq X\} \\ \overline{R} X = & \{ x \in U|[x] \cap X \ne \varphi \} \\ \end{aligned} $$

Here \( \underline{R} X \) is Lower approximation and \( \overline{R} X \) upper approximation. The elements in \( \underline{R} X \) are classified as sure members of X by the knowledge in R; but the elements in \( \overline{R} X \) are possible ones. The set X is referred to as a rough set which is approximated using information contained in R by constructing lower and upper approximation sets. Hence, positive field \( pos_{R} (X), \) boundary region \( bn_{R} (X), \) and negative field \( neg_{R} (X) \) are defined as:

........
No. 1
DFT (PBE) results for a relaxed Np3Si2Ir6 crystal.

## Properties
Its total DFT energy (no corrections) is -9.83 eV/atom. Its space group is No. 229. The calculation puts the calculated density at 16.98 g/cm³.

a b c (Å): 7.872 7.872 7.872
angles (deg): 109.47 109.47 109.47
Fractional coordinates of all 22 atoms:
1 Np 0.000 0.256 0.256
2 Np 0.000 0.744 0.744
3 Np 0.744 0.000 0.744
4 Np 0.256 0.000 0.256
5 Np 0.744 0.744 0.000
6 Np 0.256 0.256 0.000
7 Ir 0.000 0.649 0.351
8 Ir 0.298 0.649 0.649
9 Ir 0.000 0.351 0.649
10 Ir 0.351 0.351 0.702
11 Ir 0.649 0.351 0.000
12 Ir 0.702 0.351 0.351
13 Ir 0.351 0.702 0.351
14 Ir 0.351 0.000 0.649
15 Ir 0.649 0.298 0.649
16 Ir 0.649 0.000 0.351
17 Ir 0.649 0.649 0.298
18 Ir 0.351 0.649 0.000
19 Si 0.000 0.000 0.500
20 Si 0.500 0.000 0.000
21 Si 0.000 0.500 0.000
22 Si 0.500 0.500 0.500

---

No. 2
DFT (PBE) results for a relaxed Er3GeO6 crystal.

## Properties
Its total DFT energy (no corrections) is -7.82 eV/atom. Its space group is No. 36. The calculation puts the calculated density at 8.38 g/cm³.

a b c (Å): 5.467 7.055 7.055
angles (deg): 102.60 90.00 90.00
Fractional coordinates of all 20 atoms:
1 Er 0.979 0.701 0.911
2 Er 0.925 0.600 0.400
3 Er 0.479 0.911 0.701
4 Er 0.479 0.299 0.089
5 Er 0.979 0.089 0.299
6 Er 0.425 0.400 0.600
7 O 0.649 0.227 0.773
8 O 0.226 0.024 0.976
9 O 0.666 0.590 0.104
10 O 0.166 0.410 0.896
11 O 0.666 0.896 0.410
12 O 0.201 0.355 0.323
13 O 0.701 0.645 0.677
14 O 0.701 0.323 0.355
15 O 0.201 0.677 0.645
16 O 0.726 0.976 0.024
17 O 0.166 0.104 0.590
18 O 0.149 0.773 0.227
19 Ge 0.495 0.825 0.175
20 Ge 0.995 0.175 0.825

---

No. 3
DFT (PBE) results for a relaxed ScSeN2Cl crystal.

## Properties
The calculation puts the energy relative to the lowest polymorph listed for this composition at 560 meV/atom. Its space group is No. 123. The calculation puts the calculated density at 4.13 g/cm³.

a b c (Å): 3.976 3.976 4.771
angles (deg): 90.00 90.00 90.00
Fractional coordinates of all 5 atoms:
1 N 0.000 0.500 0.000
2 N 0.500 0.000 0.000
3 Se 0.000 0.000 0.500
4 Sc 0.500 0.500 0.500
5 Cl 0.000 0.000 0.000

---

No. 4
DFT (PBE) results for a relaxed ScRu2Br crystal.

## Properties
The calculation puts the energy relative to the lowest polymorph listed for this composition at 264 meV/atom. Its space group is No. 47. The calculation puts the calculated density at 8.30 g/cm³.

a b c (Å): 3.060 4.759 4.494
angles (deg): 90.00 90.00 90.00
Fractional coordinates of all 4 atoms:
1 Ru 0.000 0.000 0.000
2 Ru 0.500 0.500 0.000
3 Br 0.000 0.500 0.500
4 Sc 0.500 0.000 0.500

---

No. 5
DFT (PBE) results for a relaxed V3GaSn crystal.

## Properties
The calculation puts the energy relative to the lowest polymorph listed for this composition at 0 meV/atom. The formation energy comes out at 818 meV/atom. Its space group is No. 221. The calculation puts the calculated density at 5.93 g/cm³.

a b c (Å): 4.572 4.572 4.572
angles (deg): 90.00 90.00 90.00
Fractional coordinates of all 5 atoms:
........

$$ \begin{aligned} & pos_{R} (X) = \underline{R} X \\ & bn_{R} (X) = \overline{R} X - \underline{R} X \\ & neg_{R} (X) = U - \overline{R} X \\ \end{aligned} $$

Definition 2 (Hong et al. 2000)

The rough set method is a series of logical reasoning procedures to analyze an information system which is seen as a decision table; and the system can be denoted by \( S = (U,A,F), \) where U is a limited object set represented by \( U = \{ x_{1} ,x_{2} , \cdots ,x_{n} \} , \) A is a limited attribute set called \( A = \{ a_{1} ,a_{2} , \cdots ,a_{n} \} , \) and a correlation set between U and A is F, i.e. \( F = \{ f_{i} |j \le m\} , \) where \( f_{i} :U \to V_{j} ,j \le m, \) \( V_{j} \) is called the domain of \( a_{j} , \) and the value of \( V_{j} \) can be either quantitative or qualitative. F(x) reflects complete information of object x in the system S, and F(x) is often called the information function. For this information system, each subset of attributes \( B \subseteq A \) could define a binary equivalence relation \( R_{B} \) on the universe of discourse U as:

$$ xR_{B} y \Leftrightarrow f_{j} (x) = f_{j} (y),\forall a_{j} \in B $$

In the rough set, A is a set of primitive features, and C and D are two subsets of features; it is assumed that there is \( C \cap D = \Upphi , \) where C is called the condition feature and D the decision feature. The information system A is called the decision table often noted as \( (U,C \cup D,F) \). \( R_{c} \) generated by U is defined as \( U/R_{c} = \{ C_{1} ,C_{2} , \ldots ,C_{i} \} ; \) \( R_{D} \) by U as \( U/R_{D} = \{ D_{1} ,D_{2} , \ldots ,D_{J} \} \). C positive field of D is expressed by \( pos_{C} (D) \) denoted as \( pos_{C} (D) = \bigcup\limits_{j = 1}^{J} {\underline{{R_{C} }} (D_{j} )} \) and \( \gamma_{C} = \left| {pos_{C} (D)/\left| U \right|} \right|, \) where \( \left| X \right| \) is the number of elements in the set X, and U is the universe of discourse.

Definition 3 (Kim et al. 2007) Assume that \( (U,C \cup D,F) \) is a decision table, where C is called the condition attribute set, and D the decision attribute set, and then the importance of attribute subset \( C^{'} \subset C \) for D is

$$ \sigma_{CD} (C^{'} ) = \gamma_{C} (D) - \gamma_{{C - C^{'} }} (D) $$

where \( \gamma_{C} = \left| {pos_{C} (D)} \right|/\left| U \right|, \) particularly, when \( C^{'} = a, \) the importance of attribute \( a \in C \) for D is

$$ \sigma_{CD} (a) = \gamma_{C} (D) - \gamma_{C - a} (D) $$

60.3 Important Factor Analysis of Learning Interest

60.3.1 Collection of Raw Data

By questionnaire and with random sampling the third year undergraduates in Xijing University were investigated on the factors of interest influencing learning the specialized courses. With 110 questionnaires handed out and 104 valid questionnaires taken back, the recovery rate of the questionnaire is 95 % or so.

Crystal structures that have nothing to do with the page.
........
(1)
VASP calculation (PBE) on a geometry-optimized Ba5Sr5Cd2 structure.

E_form: -1.8 kcal/mol of atoms

Unit cell a=21.833 b=4.466 c=13.736 alpha=90.00 beta=109.01 gamma=90.00
Space group C2/m (No. 12)
Unique sites:
1 Ba 0.000 0.000 0.000
2 Ba 0.106 0.000 0.765
3 Ba 0.241 0.500 0.635
4 Sr 0.000 0.500 0.500
5 Sr 0.080 0.500 0.280
6 Sr 0.184 0.500 0.059
7 Cd 0.117 0.000 0.483

(2)
VASP calculation (PBE) on a geometry-optimized Hf2MnH6 structure.

Raw total energy: -104.02 eV/cell

Unit cell a=10.512 b=4.358 c=3.316 alpha=90.00 beta=108.09 gamma=90.00
Space group C2/m (No. 12)
Unique sites:
1 Hf 0.162 0.000 0.163
2 Mn 0.000 0.500 0.500
3 H 0.000 0.267 0.000
4 H 0.163 0.261 0.663
........

Firstly, the mapping relationship was established between interest in learning the specialized courses and its influence factors from paper questionnaires. Secondly, the influence degree of the various factors on the decision attribute was analyzed by rough set theory.

In the questionnaire survey, 10 questions with a 4-point Likert scale were asked: (1) How do you think about the teacher’s teaching attitude to professional courses? (a. very serious; b. serious; c. still line; d. not serious) (2) Can the praise from your teachers arouse the enthusiasm of your learning professional courses? (a. It can largely improve the enthusiasm of learning the professional courses; b. It can temporarily improve the enthusiasm of learning the professional courses; c. It can rarely improve the enthusiasm of learning the professional courses; d. It cannot improve the enthusiasm of learning the professional courses.) (3) How do your teachers manage the specialized course classrooms? (a. very severe; b. severe; c. less severe; d. it doesn’t matter.) (4) How is the teaching level of your professional course teachers? (a. very high; b. high; c. average; d. low.) (5) How is the teachers’ attitude to students? (a. very amiable; b. amiable; c. indifferent; d. extremely indifferent.) (6) Is the cramming method reasonable for professional courses? (a. very reasonable; b. reasonable; c. relatively reasonable; d. unreasonable.) (7) How do you like your major? (a. I like a lot; b. I like; c.I moderately like; d. I dislike.) (8) What is the employment competition like in this day and age? (a. extraordinary fierce; b. fierce; c. relatively fierce; d. not fierce.) (9) Is the curriculum of professional courses reasonable? (a. very reasonable; b. reasonable; c. relatively reasonable; d. unreasonable.) (10) Are you interested in learning your specialized courses? (a. very interested; b. interested; c. little interested; d. not interested.)

The mapping in Table 60.1 shows the learning interest of 104 senior college students and its influencing factors. In the table, C is called condition feature set and composed of the attributes x1, x2, x3, x4, x5, x6, x7, x8, x9 representing question 1–9 respectively in the questionnaire. D, the decision feature, represents the 10th question, and the answer No. represents each attribute value. Due to the limited space, only part of data is given.

Table 60.1 Questionnaire of professional courses learning interest

[Data records from another source follow]
<<<
VASP calculation (PBE-GGA) on a relaxed structure of Sr2TeAu.

Cell lengths 5.606, 5.606, 5.606 Å; angles 60.00, 60.00, 60.00 degrees
Fractional positions:
Sr1 0.000 0.000 0.000
Sr2 0.250 0.250 0.250
Te1 0.750 0.750 0.750
Au1 0.500 0.500 0.500

Values from the calculation:
**Formation energy without anion corrections**: -2.0 eV/f.u.
**Energy**: -0.108 Ha/atom


VASP calculation (PBE-GGA) on a relaxed structure of Sr2TeAu.

Cell lengths 4.030, 4.030, 7.703 Å; angles 90.00, 90.00, 90.00 degrees
Fractional positions:
Sr1 0.000 0.000 0.244
Sr2 0.000 0.000 0.756
Te1 0.500 0.500 0.500
Au1 0.500 0.500 0.000

Values from the calculation:
**Formation energy without anion corrections**: -4.4 eV/f.u.
**Energy**: -0.131 Ha/atom


VASP calculation (PBE-GGA) on a relaxed structure of Sr2TeAu.

Cell lengths 12.884, 12.884, 4.764 Å; angles 90.00, 90.00, 159.60 degrees
Fractional positions:
Sr1 0.060 0.940 0.750
Sr2 0.322 0.678 0.750
Sr3 0.678 0.322 0.250
Sr4 0.940 0.060 0.250
Te1 0.189 0.811 0.750
Te2 0.811 0.189 0.250
Au1 0.463 0.537 0.750
Au2 0.537 0.463 0.250

Values from the calculation:
**Formation energy without anion corrections**: -4.7 eV/f.u.
**Energy**: -0.133 Ha/atom


VASP calculation (PBE-GGA) on a relaxed structure of SrTe4Au.

Cell lengths 6.409, 6.409, 6.409 Å; angles 60.00, 60.00, 60.00 degrees
Fractional positions:
Sr1 0.000 0.000 0.000
Te1 0.129 0.624 0.624
Te2 0.624 0.129 0.624
Te3 0.624 0.624 0.129
Te4 0.624 0.624 0.624
Au1 0.250 0.250 0.250

Values from the calculation:
**Formation energy without anion corrections**: -0.7 eV/f.u.
**Energy**: -0.112 Ha/atom


VASP calculation (PBE-GGA) on a relaxed structure of SrTeAu2.

Cell lengths 4.124, 4.124, 6.123 Å; angles 90.00, 90.00, 90.00 degrees
Fractional positions:
Sr1 0.000 0.000 0.000
Te1 0.000 0.000 0.500
Au1 0.500 0.500 0.244
Au2 0.500 0.500 0.756

Values from the calculation:
**Formation energy without anion corrections**: -1.9 eV/f.u.
**Energy**: -0.122 Ha/atom


VASP calculation (PBE-GGA) on a relaxed structure of Sr2TeAu.

Cell lengths 4.906, 6.572, 6.572 Å; angles 38.88, 90.00, 90.00 degrees
Fractional positions:
Sr1 0.000 0.000 0.000
Sr2 0.500 0.269 0.269
Te1 0.500 0.545 0.545
Au1 0.000 0.747 0.747

Values from the calculation:
**Formation energy without anion corrections**: -4.4 eV/f.u.
**Energy**: -0.130 Ha/atom

----------

Below is an optimized crystal structure of Li2CuPd, with properties calculated at the PBE-GGA level.

## Properties
As for the total energy: -53.4 eV per cell. The value obtained for the total magnetic moment is 0.000 μB/atom. As for the formation energy: -61 meV/atom.

a b c (Å): 6.7155 6.7155 5.0877
angles (deg): 90.00 90.00 90.00
Space group I-42d (No. 122)
Symmetry-distinct sites (fractional):
Li  0.2433  0.2500  0.1250 x8
Cu  0.0000  0.0000  0.0000 x4
Pd  0.0000  0.0000  0.5000 x4

----------

First-principles (PBE-GGA) data for a relaxed structure of Th3AlB2Rh9, as listed in Alexandria.

Summary:
Total moment   0.00 μB/cell
>>>

60.3.2 Establishing the Decision Table

MyRS, which is a cross-platform development tool system of rough set realized in Java programming language, is composed of GUI and core computing of rough set. By using the functions of input/output, data pre-processing and core computing, MyRS can realize the classical algorithm about positive field, kernel, attribute reduction and rule extraction (Wei and Li 2010).

As for the data-entry format, file of MyRS adopts the CSV format which can be realized by Microsoft Excel software. The decision table could be established by setting the weight for the attribute based on the importance of it; and the students’ answers a, b, c and d set the weight 4, 3, 2, and 1 respectively.

60.3.3 Computing the Indicators of Condition Attributes

The significance of attribute can be calculated by MyRS tool. When the attribute is removed, the greater the classification variability, the higher attribute importance degree is, and vice versa.

The significance of every attribute about D is:

$$ \begin{aligned} \sigma (x_{1} ) & =\, attr0 = \gamma_{C} (D) - \gamma_{{C - (x_{1} )}} (D) \approx 0.058, \\ \sigma (x_{2} ) & =\, attr1 = \gamma_{C} (D) - \gamma_{{C - (x_{2} )}} (D) = 0, \\ \sigma (x_{3} ) & =\, attr2 = \gamma_{C} (D) - \gamma_{{C - (x_{3} )}} (D) \approx 0.029, \\ \sigma (x_{4} ) & =\, attr3 = \gamma_{C} (D) - \gamma_{{C - (x_{4} )}} (D) \approx 0.096, \\ \sigma (x_{5} ) & =\, attr4 = \gamma_{C} (D) - \gamma_{{C - (x_{5} )}} (D) = 0, \\ \sigma (x_{6} ) & =\, attr5 = \gamma_{C} (D) - \gamma_{{C - (x_{6} )}} (D) = 0, \\ \sigma (x_{7} ) & =\, attr6 = \gamma_{C} (D) - \gamma_{{C - (x_{7} )}} (D) \approx 0.029, \\ \sigma (x_{8} ) & =\, attr7 = \gamma_{C} (D) - \gamma_{{C - (x_{8} )}} (D) \approx 0.019, \\ \sigma (x_{9} ) & =\, attr8 = \gamma_{C} (D) - \gamma_{{C - (x_{9} )}} (D) \approx 0.029 \\ \end{aligned} $$

where \( \sigma (x_{1} ) \) is the significant degree of condition attribute 1, and \( \sigma (x_{2} ) \) the significant degree of condition attribute 2, and so on.

Thus, the significant degree relationship of the factors influencing learning interest of professional course is:

$$ \begin{array}{ll} \sigma (x_{4} )\! & > \sigma (x_{1} ) > \sigma (x_{3} ) = \sigma (x_{7} ) = \sigma (x_{9} ) \hfill \\ & > \sigma (x_{8} ) > \sigma (x_{2} ) = \sigma (x_{5} ) = \sigma (x_{6} ) \hfill \\ \end{array} $$

60.4 Discussion

According to the calculation result of the conditional attribute indicators, through sorting important attributes influencing learning interest of professional course, it is found that the teaching level of the specialized courses is the most important. The teaching attitude is the second important except the teaching level. The requirements of the classroom discipline and enjoyment about learning the specialized courses are less important than the teaching attitude. The teachers’ praise and attitude are the least important, which can only temporarily stimulate interest in learning the courses. Therefore, the three attributes—the teaching level of the specialized courses, the teaching attitude and the requirements of the classroom discipline—are key to improve college students’ interest in learning specialized courses.

60.5 Conclusion

Based on the above analysis, we know that college students’ learning interest is key to improve students’ performance and the teaching level of professional course and teaching attitude are the core factors to stimulate the learning interest. And by using of rough set theory, the attributes influencing college students’ learning interest in the specialized courses is classified by the way of reduct rules. And the significant degree of every attribute can provide effective method to improve learning interest of individual learners. The results could be obtained collecting data in rough set decision table and analyzing appropriate attributes with MyRS tool.

Although the theory of rough set is used in many study fields, it is not fully used in a specialized course learning system. And this research tries to make it possible.

With MyRS, the significant degree of the usable and necessary data can be easily obtained, when amounts of data greatly increased in the decision table, the tool is highly suggested.